Nawaat: So far the topic of corruption surrounding the (Ben Ali, Trabelsi) family seems visibly dominant in the cables. Do you think we are dealing with institutional corruption that could harm the relationship between Tunisia and the West in general, at least on an economic level?
Professor Rob Prince:
1. A deep, structural economic problems in Tunisia
As I respond to your question…at the moment in the Tunisian interior, in Sidi Bouzid, there have been four days of protests – what the government of Tunisia calls “riots” or “social unrest”; and now I read that similar protests have begun in Kasserine and elsewhere. The Sidi Bouzid events appears to have been a spontaneous uprising of people in the region over economic and social issues after a poor lad in his early 20s, one Mohammed Bouazizi poured a can of gasoline on himself and then lit a match in front of the police station there. Tunisian friends relate that this is the third young Tunisian in about six months, who chose to protest the grim economic and social prospects in the country by burning themselves to death.
I cannot put into words, how sad it makes me to see a photo of Mohammed Bouazizi seeming to be running down the main street of Sidi Bouzid his body nothing more than a ball of fire while Zine Ben Ali parrots old and worn nonsense about non-existent economic miracles and complains that those who criticize his regime’s human rights record are exaggerating.
Then there are more than 50 others, in Tunisia and in Europe who are on hunger strikes, also protesting both the socio-economic situation in the country as well as the overall repressive atmosphere. And all this comes after what I can only call the “social uprising” in the Gafsa region centered around Redeyef in 2008, which was a “warning shot” to Ben Ali that there are deep, structural economic problems in Tunisia that need addressing.
Other than 200 people were tortured, imprisoned, with a fair number of them still in jail, including the journalist Fahem Boukkadous, virtually nothing has happened since to suggest the Tunisian government takes the economic crisis serious: no development plan, a few insipid crumbs of promises of economic aid from Ben Ali’s advisors, that is about it.
Combine such painful news of economic woes with its opposite: that two families – that of the president Zine Ben Ali, and his wife, Leila Trabelsi – are accumulating wealth at a breath-taking pace; indeed, I read this morning that Ben Ali has squirreled away more than $5 billion in foreign bank accounts and a more sober picture of Tunisia’s so-called “economic miracle” comes into perspective: a precious few are making a fortune at the expense of the multitude whose situation is deteriorating as a generalized impoverishment grows. So, the Philippines has its Marcos family, the Congo Mobutu, Saudi Arabia its royal family, and now we can add to the picture the Ben Ali-Trabelsi family clans of Tunisia! Quite an honor!
The social explosion in Sidi Bouzid reinforces the opinion of those voices in the Tunisian opposition who have argued that Zine Ben Ali’s government is facing a full blown socio-economic and political crisis, one which it is questionable the government can or will survive.
2. Will TuniLeaks affect Tunisia’s economic relations with “the West”
How will the TuniLeaks, the corruption they expose, affect Tunisia’s economic relations with “the West” (the USA, Canada and the European Union?)
Again, while the WikiLeaks documents are embarrassing – and evidence that the United States embassy is aware of the scope of the corruption – there is not much here that is not known to Tunisians or close “Tunisia watchers”. Certainly the cables verify the word “on the street” and much that has been published on line and in the French press. But I think the question should be somewhat rephrased to: if this corruption has gone on for so long and has been so pervasive, why has it taken until now for Europeans and the US ambassador to Tunisia to take note of it?
It appears that, despite all their talk of “transparency”, foreign economic interest can and does tolerate rather substantial rates of corruption in Tunisia without much complaining. At what point has the level of corruption reached such heights that even Tunisia’s Western partners have finally said “enough is enough” and “we need more caution in our economic relations with Tunisia”. Well they haven’t said it yet – but it appears they will rather soon.
And here look at the relationship between the growing economic disparities of the country – which have long existed despite the rosy propaganda “the economic miracle mirage” – and the reality. It is the intensification of Tunisia’s social crisis which has more and more exposed the level and nature of corruption, and that the U.S. State Department has, at long last, noted all this in the released cables, is of course a positive development, one that re-enforces what others have been saying for a long time.
The US does so as it begin to perceive threats to its economic and security interests that has resulted in all these developments.
For my work, I have just finished reading an excellent book – quite serious and frankly not easy reading- on the Savings and Loan crisis in the United States in the late 1980s, early 1990s by William Black, a former federal bank regulator here in the USA. Its title is “The Best Way To Rob A Bank Is To Own One“; one could make a slight change to make this relevant to Tunisia: “The Best Way To Rob A Country Is To Be President For Life”…
But at some point, the social crises of Redeyef and Sidi Bouzid will spill over onto the beaches of Sousse and Djerba, the villas of Sidi Bou Said. Social unrest and tourism have never been particularly good partners. That is why at Sidi Bouzid, as at Redeyef, the government of Tunisia (GOT) moved so quickly to “localize” the problem, cutting off foreign and press access in both places. That is why the GOT has pursued such a vicious policy against Fahem Boukkadous, only the last of many Tunisian journalists to suffer repression. Thanks to his reporting the events of Redeyef became known beyond Tunisia, in France and then, really worldwide.
I was reading on-line reports that several journalists from Tunis hoping to report on Sidi Bouzid were arrested, one badly beaten up by the government security forces. Still, in this age of the internet, it will be impossible for the GOT to keep a lid on what is unfolding at Sidi Bouzid, now in its third day of protesting, with reports of a large number of arrests. The word is out.
<<<
1) 11
Properties=species:S:1:pos:R:3 method="wB97M-V/def2-TZVPD" charge=0 lumo_ha=0.0236 smiles="O=C1NOCON1" gap_ev=10.7
O -1.24 0.29 0.30
O 0.57 -0.73 1.23
O 0.43 -0.48 -2.25
N -0.50 0.98 -0.87
N 1.03 -0.65 -0.12
C -0.24 0.32 1.29
C 0.38 -0.06 -1.13
H -1.29 0.34 -1.59
H -0.82 -0.09 2.25
H 1.64 -1.53 -0.36
H 0.03 1.60 1.25

2) 11
Properties=species:S:1:pos:R:3 method="wB97M-V/def2-TZVPD" charge=0 lumo_ha=0.0286 smiles="O=C1NOCON1" gap_ev=10.5
O 0.61 -1.10 0.34
O 0.68 0.96 -0.48
O -2.57 0.03 -0.01
N -0.63 -1.03 -0.38
N -0.46 1.08 0.35
C 1.43 -0.01 0.03
C -1.34 0.04 0.02
H 2.11 -0.23 -0.79
H -0.79 2.03 0.24
H 2.04 0.11 0.96
H -1.09 -1.88 -0.26

3) 11
Properties=species:S:1:pos:R:3 method="wB97M-V/def2-TZVPD" charge=0 lumo_ha=-0.0135 smiles="NNC(=O)C(=O)O" gap_ev=9.9
O -0.31 -2.57 -1.01
O -1.54 -0.73 -0.61
O 1.97 -0.95 -0.79
N -0.38 1.23 0.74
N 0.65 0.29 0.77
C -0.42 -1.43 -0.63
C 0.83 -0.58 -0.37
H -0.44 1.46 1.69
H -0.53 2.07 0.16
H -1.36 0.19 -0.32
H 1.52 1.03 0.39

Most stable = 3)

1) 17
Properties=species:S:1:pos:R:3 method="wB97M-V/def2-TZVPD" charge=0 lumo_ha="-0.0020 / 0.0162" gap_ev="7.9 / 8.0"
O 1.93 -1.09 0.87
O -0.11 -1.36 -1.06
O 0.91 -0.22 2.67
C 1.01 -0.30 1.47
C -0.15 -0.03 -0.78
C -0.59 0.80 -1.94
C -0.04 1.79 0.86
C 0.21 0.52 0.49
C -0.84 -1.90 -0.06
H -0.10 1.77 -1.94
H -1.82 -1.50 0.19
H -1.68 0.97 -1.92
H -0.47 -2.80 0.40
H 2.41 -1.55 1.58
H -0.64 2.46 0.25
H -0.37 0.26 -2.86
H 0.34 2.18 1.79

2) 17
Properties=species:S:1:pos:R:3 method="wB97M-V/def2-TZVPD" charge=0 lumo_ha=0.0208 smiles="CC1(C)CC(=O)C(=O)O1" gap_ev=10.2
O -0.69 2.21 -1.54
O -3.06 0.82 -0.25
O -1.34 -0.60 0.26
C -0.69 1.49 -0.54
C 0.80 -1.07 1.23
C 0.29 1.44 0.52
C 0.09 -0.36 0.09
C -1.90 0.55 -0.15
C 0.54 -0.91 -1.25
H 0.62 -2.15 1.17
H 0.42 -0.76 2.20
H -0.07 1.49 1.54
H 1.60 -0.74 -1.40
H 1.21 1.99 0.33
H 0.33 -1.99 -1.30
H 1.88 -0.91 1.18
H -0.02 -0.50 -2.09

Most stable = 2)

1) 10
Properties=species:S:1:pos:R:3 method="wB97M-V/def2-TZVPD" charge=0 lumo_ha="-0.0146 / -0.0146" gap_ev="7.6 / 7.6"
S -0.19 0.01 -2.38
C -1.11 0.36 0.27
C 0.90 -0.72 0.19
C 0.21 0.31 -0.35
C 1.69 -0.86 1.02
C 0.39 1.27 -1.60
H -1.05 1.09 1.08
H 2.37 -1.41 1.68
H -1.89 0.58 -0.60
H -1.29 -0.62 0.68

2) 10
Properties=species:S:1:pos:R:3 method="wB97M-V/def2-TZVPD" charge=0 lumo_ha=0.0148 smiles=C#CC#CCS gap_ev=9.3
S -2.57 -0.80 -0.19
C 1.02 0.29 0.13
C 2.25 -0.14 -0.05
C -1.66 0.67 -0.13
C 3.32 -0.80 -0.23
C -0.21 0.42 -0.15
H 4.19 -1.16 -0.24
H -2.61 -1.27 1.31
H -1.73 1.46 0.61
H -1.99 1.32 -1.06

3) 10
Properties=species:S:1:pos:R:3 method="wB97M-V/def2-TZVPD" charge=0 lumo_ha=0.0123 smiles=C#CC#CCS gap_ev=9.5
S 2.23 -0.87 -0.04
C 0.15 0.54 0.01
C -3.46 -0.64 0.03
C -2.33 -0.16 -0.17
C -0.99 0.06 -0.20
C 1.54 0.70 0.05
H 1.84 1.31 -0.78
H -4.34 -1.26 0.39
H 1.79 0.99 0.98
H 3.57 -0.67 -0.28

Most stable = 3)

* * * * *

1.
>>>
The point here is that sooner or later these events will affect tourism, both from Europe and from Arab countries (particularly Libya). And the social unrest could have more far-reaching impacts as, at least in principle (and we know unfortunately how little that can sometimes mean) Tunisia’s economic ties with the European Union are based upon improving its human rights situation.
France seems to have a president who cares a lot more about economic contracts with French companies than he does about young Tunisians burning themselves to death, but even here, there is even a limit to how much longer Sarkozy can turn his back on Tunisia’s economic crisis, especially given the strong movement of support for Tunisian democracy in countries like France, with its large Magrebian community, still strong trade unions and generally active social movements.
3. The endemic corruption of the Ben Ali and Trabelsi families
To what degree will the endemic corruption of the Ben Ali and Trabelsi families, their tendency to use the Tunisian economy as their own personal cash cow affect foreign investment, foreign economic relations?
Here, the cables were interesting. They suggest that it is Tunisian investors who have pulled back their capital from investing in the country, while to date, the foreign investors have not yet withdrawn much. This is interesting, but not so surprising. What sectors are we talking about where foreign investment is strong? Mostly tourism and now, off shore oil and gas exploration. At least not yet.
Someone pasted data records at this point
Record 1
{
  "formula": "C28H49FN2O10P2",
  "method": "wB97M-V/def2-TZVPD",
  "symbols": ["C", "C", "C", "O", "O", "C", "C", "C", "C", "C", "C", "C", "N", "C", "C", "C", "C", "C", "F", "N", "C", "H", "H", "H", "H", "H", "H", "H", "H", "H", "H", "H", "H", "H", "H", "H", "H", "H", "H", "H", "C", "C", "O", "P", "O", "O", "C", "C", "O", "C", "C", "H", "H", "H", "H", "H", "H", "H", "H", "H", "H", "H", "H", "H", "H", "H", "C", "C", "O", "P", "O", "O", "C", "C", "O", "C", "C", "H", "H", "H", "H", "H", "H", "H", "H", "H", "H", "H", "H", "H", "H", "H"],
Here the piece continues
At some point, all the shenanigans taking place in the banking sector will have an impact. Tunisian banks are, it is well known, not in good shape. When the only profitable and well run private bank in the country, Banque de Tunisie, is taken over by the current foreign minister and Mme Ben Ali’s brother, Belgassem Trabelsi, this is taking events a bit too far. The cables express a great deal of concern about this takeover, and some of the other machinations in Tunisia’s banking industry. What will the U.S. State Department recommend to US investors and business concerns? The cable strongly suggest they will urge caution in investment as long as Ben Ali remains in power.
4. The current social crisis
There is something else, though, concerning the corruption and economic developments which is related to the current social crisis gripping Tunisia that deserves mention and thought.
Since the early 1980s, Tunisia has been one of the most faithful pupils to World Bank and IMF structural adjustment programs, and has frequently been praised by the Bretton Woods institutions for their fiscal discipline and market economic policies which is supposed to result in making the country attractive to foreign investment.
As a part of this economic approach, Tunisia has been encouraged, if not pressured to privatize different state holdings and to lift subsidies on food and other basic needs as is typical of loans given with structural adjustment provisions.
What is the result?
- In Tunisia as elsewhere where capital controls have been lifted, investment flows into non productive activities, bubble creating activities, real estate and finance, rather than into less profitable (at least in the short run) infrastructural grown and agro-industrial modernization.
- The lifting of subsidies has gone on for more than 25 years, beginning with the lifting of subsidies on the price of bread in 1984 which triggered what are referred to as “bread riots”, not only in Tunisia, but many places. As salaries have remained stagnant and prices have increased, combined with the growing crisis in unemployment, the lives of the majority of Tunisians have suffered. We are now more than a quarter of a century into such trends
- But most interesting of all has been Tunisia’s process of privatization and joint ventures which has exacerbated the gulf between rich and poor in the country in an interesting fashion.
- Foreign investment itself, although it exists, has been lackluster, especially from Europe and the USA. After the collapse of communism some of the foreign investment in Tunisia hoped to win more or less went to Eastern Europe restructuring. There is some from Arab oil producing countries, true…but necessarily in strategic economic sectors that would lead to growth long term.
It is impressive the degree to which unrestrained and unregulated privatization has been a failure in so many Third World and former Communist countries. Look at the privatization impact in Russia, Central Asia, Latin American countries like Bolivia, Argentina and Chile… and in Tunisia.
It is not that privatization and joint ventures under certain circumstances, are not viable economic responses, but not the way it has happened in Tunisia. There the processes have been dominated by the two ruling families, the Ben Alis and the Trabelsis who more and more monopolize all the contracts and are first in line when the Tunisian government sells of state resources at bargain basement prices.
As long as the families have control of the process, be it in the banking sector, the media or in education, privatization and joint ventures with foreign capital are supported.
As a result, these two families have become extraordinarily wealthy. But there has been another consequence: independent Tunisian entrepreneurs, small, medium sized and even some big investors have been driven from the field, either by hook or crook, by the crude methods of the first lady’s brother, or by more refined but equally self-serving approaches.
Not even Habib Bourguiba – in the end, no great democrat – was so crude. Yes, he seemed to like his palaces and that did represent a certain level of corruption, but Bourguiba’s corruption was pocket change compared to that of the Ben Ali and Trabelsi families today. And if Bourguiba wasn’t a great democrat, nor was he a cleptomaniac, robbing the country blind. For Bourguiba “wealth” was simply the trappings of power. He understood the importance of Tunisia’s economy “delivering” for certain key social milieus and while not immune to nepotism, kept something of a lid on it.
But these past 20 years, nepotism (giving special favors to close family members) in Tunisia’s economy has grown to rampant proportions, icing out of the possibilities for success many elements who did not fair badly in the Bourguiba years. This trend is so developed that a whole strata of businesspeople and entrepreneurs has been adversely affected or ruined. They now find themselves, along with the country’s intellectuals, trade unions and students, into the country’s burgeoning political opposition, narrowing Ben Ali’s political base to a considerable degree.
The TuniLeaks cables suggest that the U.S. State Department has, at long last, caught up with the rest of the world. The cables acknowledge as much. If the cables are accurate, they suggest that the State Department is beginning, however dimly, to understand the political consequences of these economic policies, many of which, while applied in Tunisia are “made in America”…and referred to as “The Washington Consensus”.
The more fundamental question: why did it take so long?
In short. We’re screwed and we’ll be facing a collaps unless we make the family give back what they stole and exile in some money paradise. Any other scenario will not give the proper incitament to Tunisians to start investing in their country and elect a democratic government. Thank you for your objectiv analysis Mr Prince and thank you Nawaat for sharing these informations with all of us.
the state departement meek and mild little tap
on the hand of the tunisian ambassador is by no means a stern
lecture on morality of the regime.
the refusal to make public the rebuffal or clarifying what took
place can only add to the theory that might’ve said to them well
done but you should’ve done better job on squashing the revolt.
the bbc correspondent based in algiers seem to run the official
tunisian goverment line than anything else.
contrary to what is stated in all media,we have had culture of
revolt from way back to kahina,the berbers never accepted any
unfair dictum from any system,tunisian revolted against france
through unions,the revolt against exappropriation of land of
individuals under bourghiba/ben salah and the mining regions,the libyans border towns,kirwoun,sfax once wanted a cecession or toyed
with it that made bourghiba wet his pants and he never liked them
since,his colleagues from el kef that he once send tanks,eventually
hanging them publically,the bread revolt,the student uprise in the late sixties and so on.
tunisia won’t change course on foreign investment,it may liberalise it better and more open,there will a fair advangeous tax for
investors but not total avoidance.
all assets of the blood suckers of his families will be sold to
private sector,the proceeds from that will be used to propel new
project in all territories of the land.
argentina is unlikely to grant them an escape as they’ll recognise
what has happened to them not long ago by own thugs,they’ll
weight the moral implication.
not sure about doubi or emirates not sure about their morality
but we will give them hell and mean it,don’t under estimate our
capacity to strike at them,we won’t restraint.
canada will weight benefit versus loss but will back out of the
deal allowing them refugee.
the swiss have no love for them either,france is no go either
50% of them are wanted by law for something or another.
rest assured all other countries investers or settlers,it will
be better for you sooner,your are not a target of tunisian anger.
the carthage forum was for his leeches to letch on some one
and swindle them,they perceive the rest of tunisia as not a
problem they have it covered.
the saoudies are the uncurable virus,should they entertain the
idiea of allowing them,we will breed a ben laden to specifically
give them hell,they are the aids and gangrene of all ddiseases
emanating from that region.
== These calculated molecules were left in the page by mistake ==
+++
ORCA calculation (wB97M-V/def2-TZVPD) on 5 unconnected molecules or ions with the total composition C32H39F21NO11S in a non-equilibrium geometry.

Properties
E, Ha: -4620.3216
Gap between HOMO and LUMO, hartree: 0.29260
Molecular weight, g mol⁻¹: 1044.685
E_LUMO, eV: -4.791

```
! wB97M-V def2-TZVPD RIJCOSX def2/J DEFGRID3
* xyz 1 1
C 1.926 0.287 4.776
O 3.295 0.590 4.611
C 3.980 -0.457 3.928
C 3.721 -0.463 2.411
C 5.043 -0.666 1.652
C 5.725 0.673 1.384
C 4.937 1.580 0.437
C 5.097 3.066 0.826
C 4.199 3.357 1.977
C 4.642 3.428 3.302
C 3.737 3.673 4.322
N 2.439 3.871 4.053
C 1.970 3.834 2.784
S 0.253 4.178 2.372
O 0.071 3.758 1.022
O 0.027 5.549 2.710
C -0.849 3.183 3.534
F -0.059 2.504 4.391
F -1.532 4.088 4.229
C -1.884 2.267 2.809
F -2.495 3.013 1.884
F -2.793 1.912 3.742
C -1.327 0.944 2.229
F -0.339 1.196 1.351
F -0.807 0.215 3.238
C -2.387 0.055 1.506
F -3.048 0.752 0.593
F -1.700 -0.916 0.876
F -3.200 -0.527 2.374
C 2.820 3.566 1.739
H 1.460 -0.031 3.840
H 1.769 -0.487 5.532
H 1.421 1.190 5.117
H 5.041 -0.275 4.103
H 3.740 -1.422 4.383
H 3.306 0.518 2.167
H 2.976 -1.209 2.168
H 5.697 -1.260 2.294
H 4.919 -1.221 0.724
H 5.934 1.156 2.343
H 6.690 0.485 0.911
H 3.870 1.352 0.429
H 5.301 1.455 -0.578
H 6.139 3.281 1.059
H 4.821 3.711 -0.010
H 5.684 3.293 3.550
H 4.047 3.718 5.355
H 1.809 4.077 4.820
H 2.446 3.521 0.725
C -4.532 -1.949 -0.575
C -4.080 -3.354 -0.246
O -5.194 -4.195 0.101
C -5.881 -4.686 -0.923
O -5.667 -4.497 -2.083
C -7.010 -5.598 -0.402
F -7.656 -5.026 0.617
F -6.489 -6.755 0.023
F -7.880 -5.852 -1.369
H -5.112 -1.530 0.248
H -3.672 -1.311 -0.764
H -5.166 -1.940 -1.462
H -3.435 -3.358 0.631
H -3.525 -3.799 -1.071
C -0.778 2.176 -3.084
C 0.385 2.719 -2.287
O 1.612 2.011 -2.577
C 2.251 2.381 -3.678
O 1.928 3.229 -4.451
C 3.557 1.571 -3.806
F 3.357 0.275 -3.556
F 4.453 2.031 -2.908
F 4.076 1.699 -5.014
H -0.876 1.102 -2.917
H -1.705 2.663 -2.786
H -0.633 2.334 -4.148
H 0.217 2.571 -1.222
H 0.529 3.787 -2.455
C -6.922 0.327 -4.288
C -5.732 -0.579 -4.065
O -4.689 -0.325 -5.032
C -3.897 0.701 -4.786
O -3.937 1.443 -3.848
C -2.827 0.799 -5.893
F -3.361 0.653 -7.104
F -1.911 -0.167 -5.719
F -2.203 1.974 -5.844
H -7.288 0.229 -5.309
H -7.724 0.063 -3.600
H -6.656 1.371 -4.126
H -6.005 -1.621 -4.213
H -5.328 -0.477 -3.058
C -0.793 -4.931 -0.225
C 0.038 -4.247 -1.287
O 1.261 -3.709 -0.735
C 2.251 -4.574 -0.573
O 2.247 -5.738 -0.827
C 3.490 -3.838 -0.028
F 3.162 -3.004 0.977
F 4.052 -3.104 -0.998
F 4.394 -4.691 0.427
H -0.993 -4.248 0.602
H -1.742 -5.259 -0.649
H -0.278 -5.802 0.178
H -0.488 -3.388 -1.699
H 0.275 -4.920 -2.110
*
```

ORCA calculation (wB97M-V/def2-TZVPD) on a molecular structure, C32H39F2InNO6 in a non-equilibrium geometry.

Properties
E, Ha: -2138.8052
Gap between HOMO and LUMO, hartree: 0.15752
Molecular weight, g mol⁻¹: 686.479
E_LUMO, eV: -0.538
ΔE to the lowest compared entry with this formula, charge and spin, kcal/mol: 0.00

```
! wB97M-V def2-TZVPD RIJCOSX def2/J DEFGRID3
* xyz -1 1
C 9.873 0.242 -3.366
+++
== The calculated molecules stop here ==
thanks for your imput robert prince,we appreciate your insights.